Land Emissions and Removals Navigator (LEARN) Tool: Data Sources and Calculation Methods, Version 1.1
This technical note describes data and methods that enable communities in the United States to include forests and trees outside forests in their greenhouse gas (GHG) inventories using the Land Emissions and Removals Navigator (LEARN) tool. LEARN is an interactive web tool that provides automated analysis of the GHG impacts of forests and trees at the community scale. This is a living document that will be updated as improvements to the tool and its data sources are completed.
World Resources Institute, ICLEI – Local Governments for Sustainability, and several partners are equipping community leaders with the tools they need to plan for and monitor locally-led nature-based solutions and equitable programs for climate change mitigation. Cities, counties, municipalities and landowners are taking proactive steps to mitigate climate change, but to do so they need reliable and consistent information on the greenhouse gas (GHG) impacts of land management decisions.
The LEARN (Land Emissions and Removals Navigator) tool is a free web tool which provides automated spatial analysis of the GHG impacts of forests and trees within a community or area of interest. LEARN enables communities and land managers to make data-driven plans for forests and trees and efficiently monitor the implementation and impacts over time. Insights from the LEARN tool can be used to highlight how local climate action contributes to state and national mitigation targets and inform local decision making. The tool analyzes national datasets from the U.S. Forest Service and U.S. Geological Survey to derive spatially explicit estimates of carbon emissions and removals from land cover change, forest disturbances, and changes to tree canopy on non-forest lands. The LEARN tool works in complement with ICLEI's U.S. Community Protocol’s Appendix J: Forests and Trees to support communities in forest- and tree-related climate action planning at the local scale.
This technical note documents the data and methods used in the LEARN tool and outlines opportunities for scaling and improvement.
Land & Carbon Lab
Launch PlatformLaunch Platform Visit ProjectThis initiative connects those at the vanguard of land monitoring with those at the frontlines of land use decisions.
Part of ForestsGlobal Forest Watch
Launch PlatformLaunch Platform Visit ProjectOffering the latest data, technology and tools that empower people everywhere to better manage and protect forest landscapes.
[Misplaced molecular data]
'''
C2H2ClNO2 | ωB97M-V/def2-TZVPD

Values from the calculation:
Electronic energy in eV: -20208.5022
HOMO energy (alpha / beta) in eV: -9.12 / -9.11
Relative energy (zero: lowest compared OMol25 entry of this formula, charge and spin) in kcal per mole: 117.8

The geometry in XYZ format:
```
8
Properties=species:S:1:pos:R:3:forces:R:3:lowdin_charge:R:1
C -0.12541 0.72235 -0.35569 4.5771 1.7198 -1.0426 -0.3771
C -0.90053 0.01612 0.39371 -2.3929 -1.9381 2.2031 -0.5502
N 1.34578 -1.48116 -0.10215 0.5141 1.0534 0.5842 0.2373
O 1.15245 0.99212 -0.05873 -2.0787 1.3348 0.7857 -0.1236
O 1.96105 -0.57298 0.11455 0.1983 -2.7036 -0.5307 0.0553
Cl -2.54556 -0.41634 -0.05591 0.8183 0.1610 0.1683 0.5832
H -0.27256 0.97500 -1.34674 -1.3915 0.4246 -2.0371 0.0947
H -0.61521 -0.23511 1.41096 -0.2447 -0.0519 -0.1309 0.0804
```
Positions in Å, forces in eV/Å.

=====

Record 1
Molecular formula: C15H25EuN4O3S
Method: DFT, ωB97M-V/def2-TZVPD

CARTESIAN COORDINATES (ANGSTROEM)
Eu 0.3003 0.5124 1.2930
C -0.9868 3.0365 1.8494
C -0.6053 2.9186 3.1809
C -1.1858 1.9298 4.0019
C -2.0828 1.0152 3.4827
C -2.5493 1.1323 2.1768
C -1.9454 2.1000 1.3630
H -0.6313 3.8245 1.1934
H -0.0003 3.7693 3.5765
H -0.9964 1.9621 5.0959
H -2.4808 0.2616 4.1761
H -3.4585 0.6445 1.8438
H -2.2917 2.2650 0.3749
C 1.5751 3.7475 -2.4582
N 1.2463 2.3717 -2.8200
C 1.4984 2.0100 -4.2060
C 0.9552 1.4776 -1.8797
O 0.8601 1.8171 -0.6352
C 0.7134 0.0525 -2.3258
O 0.5408 -0.6969 -1.0823
C 0.3072 -2.0696 -1.2800
C -0.7958 -2.4423 -0.3100
O -1.3176 -1.5136 0.3845
N -1.2278 -3.6951 -0.3446
C -2.4285 -3.9491 0.4771
C -0.5574 -4.8325 -0.9222
H 2.5333 4.1138 -2.8910
H 1.6687 3.8250 -1.3914
H 0.7369 4.4175 -2.7976
H 1.9533 2.8703 -4.6664
H 0.5470 1.7419 -4.6721
H 2.1690 1.1832 -4.3021
H 1.5669 -0.3647 -2.8599
H -0.1572 0.0021 -2.9763
H 1.1689 -2.6972 -1.0454
H 0.0221 -2.2821 -2.3411
H -2.9316 -2.9902 0.7237
H -2.1572 -4.4327 1.4277
H -3.2050 -4.5289 -0.0645
H -1.0402 -5.0703 -1.8749
H -0.6366 -5.7385 -0.2989
H 0.4905 -4.6442 -1.0546
S 0.3353 -4.0065 2.8266
C 0.9013 -2.4881 2.8117
N 1.1378 -1.3137 2.8681
N 2.8556 1.0750 1.5935
H 3.4944 0.3575 1.9589
H 2.9338 1.9216 2.1650
H 3.1577 1.4001 0.6552

Computed properties:
**Expectation value of S²**: 12.311
**Net charge**: +2
**Highest occupied orbital energy (alpha / beta)**: -13.347 / -14.179 eV
**Multiplicity**: 7
**Orbital gap (alpha / beta)**: 0.154 / 0.309 hartree
**Relative energy (zero: lowest compared OMol25 entry of this formula, charge and spin)**: 5.85 kcal/mol



Record 2
Molecular formula: C25H33F3FeN5P2SSe
Method: DFT, ωB97M-V/def2-TZVPD

CARTESIAN COORDINATES (ANGSTROEM)
Fe 0.1956 -0.6168 -0.1844
C 1.4358 2.5377 0.7218
P 0.0812 1.3397 0.9592
C -1.3152 2.3301 0.2440
N -1.4263 3.6027 0.5192
C -2.5006 4.2671 0.0184
C -2.6511 5.6512 0.2761
C -3.7453 6.3146 -0.1950
C -4.7369 5.6301 -0.9406
C -4.6095 4.2982 -1.2032
C -3.4775 3.5909 -0.7299
N -3.3444 2.2695 -1.0193
C -2.2755 1.6563 -0.5873
P -1.9877 -0.1431 -0.9521
C -3.4393 -0.8084 -0.0539
'''
[The entry goes on]
Part of Forests